### Source
/*
Record 1
# LaDy7Mg2
Theoretical powder XRD pattern, Cu Kα X-rays. Input: a crystal structure in Alexandria, relaxed with PBE.

Main lines, in order of falling intensity (2θ = 15–90°):
d = 2.630 Å, I = 1000
d = 2.946 Å, I = 904
d = 2.537 Å, I = 892
d = 3.224 Å, I = 831
d = 2.734 Å, I = 684
d = 3.412 Å, I = 626
d = 2.004 Å, I = 608
d = 1.460 Å, I = 358
d = 5.468 Å, I = 347
d = 4.511 Å, I = 344

```
LaDy7Mg2
1.0
4.367 -7.983 0.000
4.367 7.983 0.000
0.000 0.000 5.468
La Dy Mg
1 7 2
direct
0.000 0.000 0.000
0.065 0.298 0.500
0.221 0.779 0.000
0.298 0.065 0.500
0.500 0.500 0.500
0.702 0.935 0.500
0.779 0.221 0.000
0.935 0.702 0.500
0.297 0.703 0.500
0.703 0.297 0.500
```

=====

Record 2
# LaDy4Mg
Theoretical powder XRD pattern, Cu Kα X-rays. Input: a crystal structure in Alexandria, relaxed with PBE.

Main lines, in order of falling intensity (2θ = 15–90°):
d = 2.878 Å, I = 1000
d = 2.565 Å, I = 396
d = 1.534 Å, I = 303
d = 1.738 Å, I = 176
d = 1.814 Å, I = 142
d = 3.229 Å, I = 119
d = 2.364 Å, I = 112
d = 1.439 Å, I = 94
d = 1.593 Å, I = 86
d = 1.903 Å, I = 82

```
LaDy4Mg
1.0
3.627 0.000 0.000
0.000 3.627 0.000
0.000 0.000 14.186
La Dy Mg
1 4 1
direct
0.000 0.000 0.000
0.000 0.000 0.352
0.000 0.000 0.648
0.500 0.500 0.182
0.500 0.500 0.818
0.500 0.500 0.500
```

=====

Record 3
# La5Dy2Mg
Theoretical powder XRD pattern, Cu Kα X-rays. Input: a crystal structure in Alexandria, relaxed with PBE.

Main lines, in order of falling intensity (2θ = 15–90°):
d = 2.964 Å, I = 1000
d = 2.593 Å, I = 347
d = 1.806 Å, I = 237
d = 2.518 Å, I = 160
d = 1.561 Å, I = 147
d = 1.558 Å, I = 147
d = 1.526 Å, I = 136
d = 1.837 Å, I = 62
d = 1.484 Å, I = 62
d = 1.830 Å, I = 62

```
La5Dy2Mg
1.0
-3.675 5.036 3.659
3.675 -5.036 3.659
3.675 5.036 -3.659
La Dy Mg
5 2 1
direct
0.000 0.000 0.000
0.003 0.001 0.501
0.003 0.502 0.001
0.500 0.001 0.999
0.500 0.502 0.499
0.502 0.502 0.000
0.504 0.004 0.500
0.001 0.501 0.500
```

=====

Record 4
# La6DyMg
Theoretical powder XRD pattern, Cu Kα X-rays. Input: a crystal structure in Alexandria, relaxed with PBE.

Main lines, in order of falling intensity (2θ = 15–90°):
d = 2.984 Å, I = 1000
d = 2.584 Å, I = 506
d = 1.558 Å, I = 429
d = 1.827 Å, I = 361
d = 1.186 Å, I = 174
d = 1.156 Å, I = 162
d = 1.492 Å, I = 123
d = 1.292 Å, I = 57
d = 4.623 Å, I = 52
d = 3.446 Å, I = 35

```
La6DyMg
1.0
5.168 0.000 0.000
0.000 5.168 0.000
0.000 0.000 10.341
La Dy Mg
6 1 1
direct
0.000 0.000 0.000
0.000 0.000 0.500
0.000 0.500 0.249
0.000 0.500 0.751
0.500 0.000 0.249
0.500 0.000 0.751
0.500 0.500 0.500
0.500 0.500 0.000
```

=====

Record 5
# La5DyMg6
Theoretical powder XRD pattern, Cu Kα X-rays. Input: a crystal structure in Alexandria, relaxed with PBE.

Main lines, in order of falling intensity (2θ = 15–90°):
d = 2.783 Å, I = 1000
d = 3.935 Å, I = 577
d = 1.605 Å, I = 251
d = 2.272 Å, I = 179
d = 1.758 Å, I = 164
d = 1.609 Å, I = 127
d = 1.965 Å, I = 121
d = 1.243 Å, I = 105
d = 1.763 Å, I = 84
d = 1.312 Å, I = 78

```
La5DyMg6
1.0
2.778 -8.340 0.000
2.778 8.340 0.000
0.000 0.000 7.891
La Dy Mg
5 1 6
direct
0.000 0.000 0.000
0.330 0.670 0.000
0.335 0.665 0.500
0.665 0.335 0.500
0.670 0.330 0.000
0.000 0.000 0.500
0.164 0.836 0.256
0.164 0.836 0.744
0.500 0.500 0.255
0.500 0.500 0.745
0.836 0.164 0.256
0.836 0.164 0.744
```

=====

Record 6
# La6NdDy2Mg
Theoretical powder XRD pattern, Cu Kα X-rays. Input: a crystal structure in Alexandria, relaxed with PBE.

Main lines, in order of falling intensity (2θ = 15–90°):
d = 3.040 Å, I = 1000
d = 2.837 Å, I = 594
d = 2.849 Å, I = 580
d = 2.988 Å, I = 528
d = 2.892 Å, I = 450
d = 2.936 Å, I = 343
d = 3.249 Å, I = 334
d = 3.371 Å, I = 274
d = 2.605 Å, I = 215
d = 1.674 Å, I = 211

```
La6NdDy2Mg
1.0
5.328 -6.926 0.000
5.328 6.926 0.000
-1.577 0.000 9.378
La Nd Dy Mg
12 2 4 2
direct
0.045 0.466 0.671
0.060 0.823 0.901
0.177 0.940 0.599
0.241 0.580 0.081
0.420 0.759 0.419
0.466 0.045 0.171
0.534 0.955 0.829
0.580 0.241 0.581
0.759 0.420 0.919
0.823 0.060 0.401
0.940 0.177 0.099
*/

### Brief
Search the notes above for the word "Cu" and retype each line that has it.

### Solution
Theoretical powder XRD pattern, Cu Kα X-rays. Input: a crystal structure in Alexandria, relaxed with PBE.
Theoretical powder XRD pattern, Cu Kα X-rays. Input: a crystal structure in Alexandria, relaxed with PBE.
Theoretical powder XRD pattern, Cu Kα X-rays. Input: a crystal structure in Alexandria, relaxed with PBE.
Theoretical powder XRD pattern, Cu Kα X-rays. Input: a crystal structure in Alexandria, relaxed with PBE.
Theoretical powder XRD pattern, Cu Kα X-rays. Input: a crystal structure in Alexandria, relaxed with PBE.
Theoretical powder XRD pattern, Cu Kα X-rays. Input: a crystal structure in Alexandria, relaxed with PBE.